### To do
Could you restate the part of the contents underneath that starts with the line with "Inequivalent atoms," and stops after the one with "Na2 0.2526"?
### Source
/*
First-principles (PBE) data for an optimized crystal structure of Na2RhS2O11, as listed in Materials Project.

For the formation energy from the elements, the calculation gives -1207 meV/atom.

Unit cell a=10.1781 b=7.5868 c=14.5732 alpha=90.00 beta=120.85 gamma=90.00
Space group P2_1/c (No. 14)
Inequivalent atoms, fractional coordinates:
Na1 0.1595 0.1419 0.1814 (multiplicity 4)
Na2 0.2526 0.0237 0.4817 (multiplicity 4)
Rh1 0.4640 0.0975 0.9149 (multiplicity 4)
S1 0.2031 0.0645 0.9715 (multiplicity 4)
S2 0.3896 0.6954 0.8672 (multiplicity 4)
O1 0.0599 0.0059 0.6341 (multiplicity 4)
O2 0.1027 0.5724 0.4001 (multiplicity 4)
O3 0.1280 0.1918 0.0058 (multiplicity 4)
O4 0.1312 0.5866 0.1046 (multiplicity 4)
O5 0.2536 0.5854 0.8058 (multiplicity 4)
O6 0.2694 0.1765 0.9157 (multiplicity 4)
O7 0.3361 0.5135 0.5739 (multiplicity 4)
O8 0.3488 0.6180 0.3224 (multiplicity 4)
O9 0.4114 0.2377 0.7960 (multiplicity 4)
O10 0.4123 0.7020 0.9811 (multiplicity 4)
O11 0.4728 0.1314 0.6278 (multiplicity 4)
*/
### Outcome
Inequivalent atoms, fractional coordinates:
Na1 0.1595 0.1419 0.1814 (multiplicity 4)
Na2 0.2526 0.0237 0.4817 (multiplicity 4)